[Bitpim-devel] Various installation problems on Debian-testing
Mike Schiraldi
2004-09-04 19:27:21 UTC
(Note: This is a continuation of a discussion started on bitpim-user; as
Roger pointed out, it would probably be more appropriate to discuss it here)

In a nutshell, i run Debian-testing, and i'd like to use BitPim. Looking for
the quickest, easiest way to get it installed, i first tried using alien to
convert the .rpm to .deb and install that. But when i do that, i run into a
The situation at the moment is that the pre-packaged RPM doesn't work on
some Debian machines due to some wierd voodoo with them and not finding
one symbol in a shared library shipped with BitPim.
Note that someone is already working on a proper dpkg for Debian.
Since i'm excited to get started using BitPim to hack around with my phone,
i didn't want to wait that long. So i decided to see if i could get the CVS
version working. I've been having trouble with that, too.

I wish there were a HOWTO that i, as a user of a fairly vanilla installation
of a fairly common Linux distribution, could just follow step-by-step to get
things up and running. And so i'm making one. The start of it is at

Currently i'm getting an exception ending with:

File "/usr/lib/python2.3/site-packages/wx/_core.py", line 4, in ?
import _core_
ImportError: /usr/lib/python2.3/site-packages/wx/_core_.so: undefined symbol:

I imagine that means something's screwed up with my wxPython's UniCode, but
i did the best i could to install wxPython according to the instructions on
the BitPim and wxPython sites. Further details are available at the link

Does anyone know what i'm doing wrong?

Roger Binns
2004-09-04 20:06:47 UTC
Post by Mike Schiraldi
I wish there were a HOWTO that i, as a user of a fairly vanilla
installation of a fairly common Linux distribution, could just follow
step-by-step to get things up and running. And so i'm making one. The
start of it is at http://schiraldi.org/bitpim-installation-howto.html
For people who just want to *use* BitPim, the answer is to
use the supplied RPM. Seperately there are some people trying
to make ebuilds for Gentoo and dpkg for Debian.

If you want to run from source, then the instructions are on
the developer page:

Post by Mike Schiraldi
I imagine that means something's screwed up with my wxPython's
UniCode, but i did the best i could to install wxPython according to
the instructions on the BitPim and wxPython sites. Further details
are available at the link above.
For some reason Python defaults to using 4 bytes per unicode character,
but many places (especially Redhat) build it using 2 bytes per unicode
character. Python extensions are built using whatever the Python
they are linked against uses.

For wxPython, the supplied binary RPM is built against a 2 bytes
per unicode character Python. Your system (and mine for that matter
and even the build environment I use) all have 4 bytes per unicode
character. Consequently you see the error you got.

You will have to rebuild wxPython to fix this. Note that if you
have multiple Pythons on your system then you need to be careful
to ensure that you build and run against the correct one.

Unfortunately it is one of those current issues with Linux that
it is almost impossible to produce a single program that can
just run everywhere. Note for example that the Windows version
of BitPim will actually run on everything from Windows 95 onwards!
Other projects handle this by mass building. For example see


For people who do want to do the builds for their platform and
are prepared to upload them to SourceForge or otherwise integrate
them into their package system I am always willing to help.

Mike Schiraldi
2004-09-04 21:39:52 UTC
For people who just want to *use* BitPim, the answer is to use the
supplied RPM.
The situation at the moment is that the pre-packaged RPM doesn't work on
some Debian machines
I don't know *why* that happens, but can do a workaround.
If i could just use the RPM, that would definitely be a solution for me. But
i'm having the problem you describe above. Can you tell me more about the
workaround, or direct me to a post where you explain what to do? I've
searched for "bitpim Crypto.PublicKey.RSA" and "bitpim deb rpm" but didn't
find anything.

Also, i'd suggest posting this information in the sidebar on the main BitPim
page. (Near the part which says, "On Debian use alien to convert it and then
dpkg to install.") If the workaround is too complex to put in the sidebar,
maybe put in on a seperate page and link to it from the sidebar.
If you want to run from source, then the instructions are on
I'm still doing my best to follow those instructions. You were right that
there was a stale version of wxPython somewhere on my system -- i used the
"locate" command to find and eradicate anything on my system containing
"wxp", "wxP", or "wx-p", then repeated the wxPython installation and got a
little further.

I'm getting a new exception now, though:

Traceback (most recent call last):
File "bp.py", line 93, in ?
import gui
File "/tmp/bitpim/gui.py", line 23, in ?
import wx
File "/opt/wx/", line 42, in ?
from wx._core import *
File "/opt/wx/", line 4, in ?
import _core_
ImportError: /opt/wx/ undefined symbol:

I searched Google for ZN5wxApp10InitializeERiPPw, but couldn't find

Thanks again for your quick and helpful responses, and your patience.
Roger Binns
2004-09-05 00:11:51 UTC
Can you tell me more about the workaround,
It is a code change I would have to make, basically disable BitFling
if that error happens.

To understand what is happening behind the scenes, read this:


Especially slides 11 through 13 and 18 through 23.

The final distribution is just a directory of files (see

The file bp is the Python interpretter with a launcher
that then loads the Python code which is in a zip file
appended to bp. (That is why the file is so big and
doesn't match running 'size' on it).

The other .so files are Python binary modules. What is
happening in your particular case is that the binary module
for Crypto.PublicKey._fastmath is claiming that it has
no error attribute. The funny thing is that the *exact*
same file on the build machine as well as run almost anywhere
else does have that attribute. It is also present in
"strings" output.

So there is something wierd about some Debian machines
and I think one or two others that somehow cause the
shared library file to behave differently.
Also, i'd suggest posting this information in the sidebar on the main
BitPim page. (Near the part which says, "On Debian use alien to
convert it and then dpkg to install.") If the workaround is too
complex to put in the sidebar, maybe put in on a seperate page and
link to it from the sidebar.
I don't want a workaround. I want a fix. Silently trapping this
merely makes it look like the problem doesn't exist. If I knew
why this is happening I would be happy to silently trap it,
but until that point I really want to get to the bottom of it
first. Note also that this only affects *some* Debian machines.
That is an incorrectly built wxPython. If you run ldd on _core.so you
will see it linking to some libraries in /usr/lib/wxPython-version
but they don't match the file above. (wxPython does compile them

Vic Heintz
2004-09-07 16:27:28 UTC
Because there is no 0.7.17 Jaguar binary available yet and Stephen
seems to have a lot on his plate, I was going to try to see if I could
do it myself. Here is what happened:

[Vic-iBook:~/Projects/bitpim] vic% /usr/local/bin/pythonw makedist.py
=== Sanity check ===
python version OK
wxPython version OK
wxPython is unicode build
Traceback (most recent call last):
File "makedist.py", line 407, in ?
File "makedist.py", line 84, in sanitycheck
raise Exception("You need a unicode build of wxPython")
Exception: You need a unicode build of wxPython

I am confused by seemingly conflicting statements about having a
unicode build. Could someone clue me in as to what may be wrong with my

Roger Binns
2004-09-08 02:20:17 UTC
Post by Vic Heintz
[Vic-iBook:~/Projects/bitpim] vic% /usr/local/bin/pythonw makedist.py
=== Sanity check ===
python version OK
wxPython version OK
wxPython is unicode build
File "makedist.py", line 407, in ?
File "makedist.py", line 84, in sanitycheck
raise Exception("You need a unicode build of wxPython")
Exception: You need a unicode build of wxPython
I am confused by seemingly conflicting statements about having a
unicode build. Could someone clue me in as to what may be wrong
with my set-up?
There aren't Unicode builds of wxPython on Mac yet. For the moment
comment that check out. Each line is printed, then the test is
done, then either an exception or OK is printed. The output
should make sense now.

Steven Palm
2004-09-08 02:27:59 UTC
Post by Vic Heintz
I am confused by seemingly conflicting statements about having a
unicode build. Could someone clue me in as to what may be wrong with
my set-up?
For the Macintosh builds at the moment, you are going to have to
modify makedist.py with the following:

**Inserted here: crystal structures**
Computed powder diffractogram of Pr7Al7Co6 for CuKα, from a DFT-relaxed cell (GGA-PBE, Alexandria).
Intensities are scaled so that the largest is 100.

Main lines, by angle (2θ from 10° to 90°):
two_theta	d (Å)	Rel. int.	index
23.09	3.852	24	1 1 1
25.63	3.475	33	2 1 1
33.44	2.679	100	4 0 1
34.66	2.588	55	3 3 1
35.90	2.501	24	4 2 1
36.42	2.467	22	4 4 0
38.78	2.322	48	4 3 1
39.27	2.294	37	6 1 0
43.25	2.092	35	0 0 2
58.86	1.569	23	8 2 1

Cell and atoms:
```
Pr7Al7Co6
1.0
13.9559 0.0000 0.0000
0.0000 13.9559 0.0000
0.0000 0.0000 4.1835
Pr Al Co
14 14 12
direct
0.0000 0.0000 0.0000 Pr
0.0476 0.2615 0.0000 Pr
0.1318 0.6318 0.5000 Pr
0.2385 0.4524 0.0000 Pr
0.2615 0.9524 0.0000 Pr
0.3682 0.1318 0.5000 Pr
0.4524 0.7615 0.0000 Pr
0.5000 0.5000 0.0000 Pr
0.5476 0.2385 0.0000 Pr
0.6318 0.8682 0.5000 Pr
0.7385 0.0476 0.0000 Pr
0.7615 0.5476 0.0000 Pr
0.8682 0.3682 0.5000 Pr
0.9524 0.7385 0.0000 Pr
0.0000 0.5000 0.0000 Al
0.0992 0.8604 0.5000 Al
0.1396 0.0992 0.5000 Al
0.2146 0.2854 0.5000 Al
0.2854 0.7854 0.5000 Al
0.3604 0.5992 0.5000 Al
0.4008 0.3604 0.5000 Al
0.5000 0.0000 0.0000 Al
0.5992 0.6396 0.5000 Al
0.6396 0.4008 0.5000 Al
0.7146 0.2146 0.5000 Al
0.7854 0.7146 0.5000 Al
0.8604 0.9008 0.5000 Al
0.9008 0.1396 0.5000 Al
0.0728 0.4272 0.5000 Co
0.1656 0.7889 0.0000 Co
0.2111 0.1656 0.0000 Co
0.2889 0.6656 0.0000 Co
0.3344 0.2889 0.0000 Co
0.4272 0.9272 0.5000 Co
0.5728 0.0728 0.5000 Co
0.6656 0.7111 0.0000 Co

print "wxPython is unicode build",
if not wx.USE_UNICODE and not sys.platform=='darwin':
raise Exception("You need a unicode build of wxPython")
print " OK"
